Please report any bugs or ambiguities to Josh.
Why do I get a java.util.InputMismatchException fom readDouble() when I run the sample client? You probably have an old version of stdlib.jar in your classpath. On Mac OS X, be sure to check /Library/Extensions/Java and ~/Library/Extensions/Java folders.
Can I assume that the weights are positive integers? You may assume that the weights are positive, but do not assume that they are integers. In some of the data files, the weights represent populations or frequencies and are stored as integers. But, in general, the weights can be arbitrary real numbers, so you should use the type double. Note that integers between 0 and 2^53 are represented exactly using Java's double type, i.e., with no loss of precision.
Can I assume that the weights are all distinct? No. However, if there are two terms with equal weights, the result of an autocomplete query may not be unique. In such cases, you are free to return any correct result.
Can I assume that the terms are in descending order? No, while this is true for many of the sample input files, do not make this assumption.
Can a term or query be the empty string? Yes and yes. For example, the empty-string query should return the top-k overall terms in the input. It might be harder to think of an application for an empty-string term, but the API does not exclude this possibility.
Can I assume that the alphabet consists of only the 26 uppercase letters A throught Z? No, as stated in the assignment, the characters can be arbitrary Unicode characters (other than tabs and newlines). You may assume that all characters are in the basic multilingual plane (U+0000 to U+FFFF), which includes nearly all commonly used writing systems and symbols. This implies that any call to charAt() will return a full Unicode character (rather than one-half of a supplementary character). If you like, you may also assume that the characters U+0000 and U+FFFF are not used—for example, you may use either character as a sentinel that is smaller than or larger than every other character.
What do I need to do to handle Unicode characters and UTF-8 encoding? In summary, you shouldn't need to do anything special: The Java String data type hanldes Unicode naturally; The supplied test files are encoded using UTF-8. When reading input or writing output, StdIn, In, and StdOut assume UTF-8 encoding.
How can I view the Unicode characters that my program prints out?
Should the terms and queries be case sensitive? Yes and yes. They should also be diacritic sensitive: a diacritic is a mark added to a letter, such as an accent. That is, you shouldn't do anything special to deal with case or diacritics. (In real-world applications, you would typically normalize the strings to a canonical representation by removing diacritics using java.text.Normalizer and converting to upper case.)
Can I just implement the solution suggested on this page? Sure. You should be able to explain why this algorithm meets the constraints on the assignments page.
I had a really cool idea but it seems slow. Do I have to start over? Contact Josh, but probably not.
The Dropbox script is taking longer than usual, should I worry? As long as you see all the tests, you're fine. The testing procedure for this problem is tricky because we create a new Autocomplete object for every test, and this can take quite a non-trivial amount of time for large input files.
How do I use the sentinel characters U+0000 and U+FFFF? Example: String s = "\uFFFF" is just a single character equal to U+FFFF.
How do I recover the string corresponding to a leaf node? There are two easy ways. One is to store a reference from each node to its parent, e.g. the parent of the blue "p" node on the checklist would be "s", so that if you reach the "y" node, you can go from "y" -> "p" -> "s". The easier way is to simply store the string in each leaf node.
How do I deal with the case where one prefix match is a substring of another, for example, "spit" and "spite"? The most intuitive way is to use a MinPQ (note: this necessitates creating a container class for weighted terms.). The easiest way is to ensure that no string is a substring of any other (which you can do with sentinel characters!)
I created a helper method to search the subtrie rooted in a prefix but it's behaving weirdly. For example, if I search "s" on the TST shown in the checklist below, it also searches the left child so that I'm getting "buck" back as a match for "s". How can I best handle this? One approach is pass s's mid child (in this case, the node containing "m") to your helper method. Another way is to enqueue the .mid child for the first delMax(), and enqueue .left, .mid, and .right after all subsequent delMax() operations.
I'm doing something strange with my TST, e.g. creating temporary copies of nodes, calling a collect operation every time I delete the max, exchanging nodes, etc. Is this a bad thing? Not necssarily, but an implementation of the idea in this checklist should be pretty straightforward. There's no need to modify the TST once it has been created.
-- Between two parts of the article: calculated crystals --
/*
1.
The following is a simulated X-ray powder pattern of Ac3Mg8Hg3. It was derived from a GGA-PBE-relaxed structure, using Cu Kα (λ = 1.5418 Å).
Peak positions follow from Bragg's law for the DFT cell and can differ from measured ones.

Structural model:
abc: 9.229 9.229 10.033
angles: 121.88 121.88 32.24
Element x y z (fractional)
Ac 0.000 0.000 0.000
Ac 0.282 0.282 0.284
Ac 0.718 0.718 0.716
Mg 0.133 0.133 0.838
Mg 0.140 0.140 0.431
Mg 0.343 0.343 0.986
Mg 0.497 0.497 0.666
Mg 0.503 0.503 0.334
Mg 0.657 0.657 0.014
Mg 0.860 0.860 0.569
Mg 0.867 0.867 0.162
Hg 0.000 0.000 0.500
Hg 0.346 0.346 0.702
Hg 0.654 0.654 0.298

Most intense lines, 10 to 90 degrees two-theta, low angle first:
2θ (°), d_spacing, Rel. int.
17.68, 5.015, 48
25.04, 3.556, 100
25.49, 3.495, 40
29.71, 3.007, 40
30.62, 2.920, 37
31.24, 2.863, 35
31.98, 2.799, 58
35.02, 2.562, 50

---

2.
The following is a simulated X-ray powder pattern of HoZr2Sc3. It was derived from a GGA-PBE-relaxed structure, using Cu Kα (λ = 1.5418 Å).
Peak positions follow from Bragg's law for the DFT cell and can differ from measured ones.

Structural model:
abc: 6.172 6.186 8.818
angles: 95.78 95.69 115.52
Element x y z (fractional)
Ho 0.017 0.267 0.066
Ho 0.983 0.733 0.934
Zr 0.150 0.901 0.607
Zr 0.346 0.598 0.393
Zr 0.654 0.402 0.607
Zr 0.850 0.099 0.393
Sc 0.184 0.427 0.713
Sc 0.327 0.071 0.288
Sc 0.483 0.233 0.932
Sc 0.517 0.767 0.068
Sc 0.673 0.929 0.712
Sc 0.816 0.573 0.287

Most intense lines, 10 to 90 degrees two-theta, low angle first:
2θ (°), d_spacing, Rel. int.
19.84, 4.475, 17
20.48, 4.338, 14
31.25, 2.863, 29
34.32, 2.613, 42
35.52, 2.527, 58
35.76, 2.511, 100
55.26, 1.662, 18
62.27, 1.491, 15

---

3.
The following is a simulated X-ray powder pattern of SmEr3Se4. It was derived from a GGA-PBE-relaxed structure, using Cu Kα (λ = 1.5418 Å).
Peak positions follow from Bragg's law for the DFT cell and can differ from measured ones.

Structural model:
abc: 7.089 7.089 4.011
angles: 90.00 90.00 108.71
Element x y z (fractional)
Sm 0.000 0.000 0.000
Er 0.000 0.500 0.500
Er 0.500 0.000 0.500
Er 0.500 0.500 0.000
Se 0.254 0.746 0.000
Se 0.259 0.259 0.500
Se 0.741 0.741 0.500
Se 0.746 0.254 0.000

Most intense lines, 10 to 90 degrees two-theta, low angle first:
2θ (°), d_spacing, Rel. int.
31.07, 2.879, 100
43.83, 2.066, 13
44.50, 2.036, 49
45.21, 2.006, 12
54.68, 1.679, 13
55.86, 1.646, 13
64.77, 1.439, 12
73.56, 1.288, 22

---

4.
The following is a simulated X-ray powder pattern of TbSc2In2Hg2. It was derived from a GGA-PBE-relaxed structure, using Cu Kα (λ = 1.5418 Å).
Peak positions follow from Bragg's law for the DFT cell and can differ from measured ones.

Structural model:
abc: 8.986 8.986 8.986
angles: 31.04 31.04 31.04
Element x y z (fractional)
Tb 0.000 0.000 0.000
Sc 0.136 0.136 0.136
Sc 0.864 0.864 0.864
In 0.266 0.266 0.266
In 0.734 0.734 0.734
Hg 0.437 0.437 0.437
Hg 0.563 0.563 0.563

Most intense lines, 10 to 90 degrees two-theta, low angle first:
2θ (°), d_spacing, Rel. int.
*/
What else should I look out for? The most common bugs seem to be referencing the prefix-root instead of the most recent item in the MaxPQ, and using the value instead of the max-child-value or vice-versa for performing comparisons (this latter problem being especially common for solutions which use two PQs).
Input files. Below are some input files for testing. Each input file consists of an integer N followed by N pairs of terms and integer weights, one pair per line, with the term and weight separated by a tab. The terms can be arbitrary strings consisting of Unicode characters, including spaces (but neither tabs nor newlines).
file number term weight source pu-buildings.txt 166 Princeton buildings age (in Y10K) fortune1000.txt 1,000 company revenue Fortune 1000 pu-courses.txt 6,771 course enrollment Princeton 2006-2014 wiktionary.txt 10,000 word frequency Wiktionary baby-names.txt 31,109 first name frequency U.S. Social Security cities.txt 93,827 city population 2grams.txt 277,718 2-gram frequency Google Web Trillion Word Corpus words-3333333.txt 333,333 word frequency Google Web Trillion Word Corpus alexa.txt 1,000,000 web site frequency Alexa movies.txt 229,447 movies revenue (USD) Internet Movie Database actors.txt 2,875,183 actors revenue (USD) Internet Movie Database artists.txt 43,849 music artist familiarity Million Song Dataset songs.txt 922,230 song hotttnesss Million Song Dataset
These are purely suggestions for how you might make progress. You do not have to follow these steps.
Here, we suggest one effective strategy that combines a ternary search trie with a priority queue. The TST contains all of the terms, along with their weights. In addition, each node stores the maximum weight in its subtrie—we will exploit this auxiliary information when we implement the search algorithm. The following figure illustrates the data structure for the 6-word input file autocomplete6.txt.
Now, we want to find the top k terms among those that start with a given prefix. Clearly, all of the matching words are in the subtrie correpsonding to the prefix, so the first step is to search for this node, say x. Now, to identify the top k matches, we could examine every node in the subtrie rooted at x, but this takes too long if the subtrie is large. Instead, we will use the auxiliary information to avoid exploration of useless parts of the subtrie.
Specifically, we create a maximum-oriented priority queue of nodes and initialize the priority queue with node x. Then, we repeatedly remove the maximum-weight node from the priority queue; check if the node corresponds to a term (i.e., it has a value associated with it) add, if so, add that term to a list of potential terms; and add to the priority queue any non-null nodes referenced by it (left, mid, and right). We can terminate the search as soon as the weight of the heaviest node in the priority queue is less than (or equal to) the weight of the kth heaviest term in the list because no remaining term in the subtrie has weight larger than the weight of the heaviest node. Warning: it is not safe to terminate the search as soon as the list of potential terms has k terms. Why?
Below is a snapshot of the algorithm when searching for the top-3 terms that start with the prefix s. The next node to be examined is the one containing the letter p. The first matching term that is discovered will be spit, followed by spite, and sad. The subtries rooted at y and o will never be explored.
Range maximum queries. The problem of finding the top term matching a given prefix can be formulated as a range maximum query problem or equivalently as a lowest common ancestor problem. Here are some lecture notes by Erik Demaine on the equivalence.
Priority search trees.
Any way to find the range of words that start with a given prefix in time proportional to the length of the prefix (in the worst case)? Yes, use a suffix tree (or a suffix array with the lcp array), where the terms are separated by a word-separation symbol and concatenated together. To use space proportional to the number of terms consider a suffix array on words. Or consider a compact DAWG.